Second Circuit Rules That Income Received By An Institutionalized Person And Then Placed Into A Special Needs Trust Is Countable By Medicaid

On June 22, 2009, the United States Court of Appeals for the Second Circuit affirmed a federal district court’s ruling in Wong v. Daines, 582 F.Supp. 2d 475 (2008), holding that income received by an institutionalized person and then placed into a special needs trust is countable in determining the extent of Medicaid benefits to which the institutionalized person is entitled, based upon the federal Medicaid Manual and corresponding state regulations.  The appeals court ruled that the regulations permitted Medicaid to count the Social Security disability benefits received by the plaintiff each month which he placed into a special needs trust as income in calculating the amount of the Medicaid benefits payable.

Plaintiff Sai Kwan Wong is a permanently disabled Medicaid recipient under the age of 65 who resides in a nursing home. He is the recipient of monthly Social Security disability insurance (SSDI) benefits. After receiving the SSDI benefits each month, he placed the benefits in a special needs trust of which he is the beneficiary. A special needs trust is a discretionary trust established for the benefit of a person with severe and chronic or persistent disability and is intended to provide for expenses that assistance programs such as Medicaid do not cover. The Medicaid agency, though finding him eligible for Medicaid benefits, considered the income placed in the special needs trust in determining the amount of Medicaid benefits payable, relying upon the rules set forth in State Medicaid Manual Section 3259.7 and state regulations, which govern special needs trusts. Plaintiff claimed that the rules effectively prevent Medicaid recipients such as Wong from using special needs trusts to shelter their monthly SSDI benefits from Medicaid, thereby conflicting with the federal statute authorizing the creation of special needs trusts. As a result, plaintiff brought an action on behalf of himself and a class of similarly situated individuals challenging the above-referenced federal and state regulations.  The United States District Court for the Southern District of New York entered summary judgment in favor of the defendants, New York City’s Human Resource Administration, New York State’s Department of Health, and the Unites States Department of Health and Human Services.  Plaintiff appealed.

On appeal, the Second Circuit Court of Appeals held that the rule, State Medicaid Manual Section 3259.7, did not conflict with the federal statute authorizing the creation of special needs trusts. The federal statute, 42 U.S.C.A. § 1396p(d), defines a Special Needs Trust as one

containing the assets of an individual under age 65 who is disabled (as defined in section 1382c(a)(3) of this title) and which is established for the benefit of such individual by a parent, grandparent, legal guardian of the individual, or a court if the State will receive all amounts remaining in the trust upon the death of such individual up to an amount equal to the total medical assistance paid on behalf of the individual . . . .

Next to the page, the page also holds quantum chemistry results
=====
Entry 1:
ORCA calculation (ωB97M-V/def2-TZVPD) on a 2-piece molecular cluster, C2H6OS2 overall.

Structure (XYZ):
```
11
C2H6OS2 (ωB97M-V/def2-TZVPD)
C -0.805 0.672 0.829
C -1.371 1.596 -0.180
O -0.733 2.364 -0.848
H 0.274 0.834 0.810
H -1.192 0.810 1.834
H -0.995 -0.371 0.571
H -2.473 1.656 -0.222
S 1.299 -2.668 -1.231
S 2.446 -1.141 -0.280
H 1.806 -3.590 -0.366
H 1.744 -0.163 -0.917
```

Output
- Frontier orbital gap: 8.79 eV
- Charge: 0
- Energy relative to the best compared isomer or geometry (same formula, charge and spin): 31.5 kJ/mol
- Structure (SMILES): CC=O.SS
- Energy: -951.38005 a.u.
- E_HOMO: -8.74 eV
- E_LUMO: 0.00180 hartree

These are the Mulliken partial charges, in e, on atoms 1 to 2: -0.75, 0.17

***

Entry 2:
ORCA calculation (ωB97M-V/def2-TZVPD) on an isolated ion of composition C2H6S and charge +1.

Structure (XYZ):
```
9
C2H6S (ωB97M-V/def2-TZVPD)
C 1.531 -0.079 -0.111
S -0.104 0.052 -1.339
C -1.535 0.087 0.015
H 1.394 0.632 0.694
H 1.607 -1.030 0.376
H 2.481 0.019 -0.667
H -2.587 -0.045 -0.409
H -1.561 1.038 0.694
H -1.226 -0.676 0.747
```

Output
- Frontier orbital gap (alpha / beta): 12.36 / 8.92 eV
- Charge: +1
- ⟨S²⟩: 0.75
- Energy relative to the best compared isomer or geometry (same formula, charge and spin): 112.1 kJ/mol
- Energy: -477.61358 a.u.
- E_HOMO (alpha / beta): -17.03 / -17.68 eV
- E_LUMO (alpha / beta): -0.17167 / -0.32205 hartree
- 2S+1: 2

These are the Mulliken partial charges, in e, on atoms 1 to 2: -0.75, 0.39

***

Entry 3:
ORCA calculation (ωB97M-V/def2-TZVPD) on one molecule with the formula C2H6S2.

Structure (XYZ):
```
10
C2H6S2 (ωB97M-V/def2-TZVPD)
C -1.470 0.178 0.954
S 0.223 0.655 1.456
S 1.299 -0.878 0.574
C 1.326 -0.186 -1.140
H -1.462 -0.071 -0.094
H -2.182 1.018 1.067
H -1.745 -0.632 1.590
H 1.882 0.769 -1.124
H 1.824 -0.874 -1.820
H 0.305 0.020 -1.462
```

Output
- Frontier orbital gap: 9.61 eV
- Charge: 0
- Energy relative to the best compared isomer or geometry (same formula, charge and spin): 6.1 kJ/mol
- Structure (SMILES): CSSC
- Energy: -876.16818 a.u.
- E_HOMO: -8.83 eV
- E_LUMO: 0.02879 hartree

These are the Mulliken partial charges, in e, on atoms 1 to 2: -0.71, -0.09

***

Entry 4:
ORCA calculation (ωB97M-V/def2-TZVPD) on a 2-piece molecular cluster, C2H6S5 overall.

Structure (XYZ):
```
13
C2H6S5 (ωB97M-V/def2-TZVPD)
S 2.337 -1.837 -0.094
C 1.913 -0.125 -0.250
S 3.200 1.131 -0.028
S 0.451 0.143 0.976
H 2.500 -2.078 -1.409
H 1.422 0.243 -1.120
H 3.693 0.629 1.121
H -0.147 1.200 0.366
S -2.821 1.372 -0.236
C -3.903 0.495 0.589
S -4.569 -1.028 0.165
H -4.393 0.837 1.383
H -3.583 -1.439 -0.801
```

Output
- Frontier orbital gap: 8.19 eV
- Charge: 0
- Energy relative to the best compared isomer or geometry (same formula, charge and spin): 16.2 kJ/mol
- Structure (SMILES): SC(S)S.S=CS
- Energy: -2070.66297 a.u.
- E_HOMO: -8.71 eV
- E_LUMO: -0.01911 hartree

These are the Mulliken partial charges, in e, on atoms 1 to 2: -0.14, -0.31

***

Entry 5:
=====
Here the page continues

The State Medicaid Manual Section 3259.7(B)(1) instructs that:

Income placed in a [Special Needs Trust] is income for SSI purposes although it is not counted as available in determining Medicaid eligibility. Thus, such income is also subject to the post-eligibility rules . . . . [A]ll income placed in a [Special Needs Trust] is combined with countable income not placed in the trust for post-eligibility purposes.  State Medicaid Manual Section 3259.7(C)(5)(b)

The appeals court held that the effect of State Medicaid Manual Section 3259.7 is that income placed in a Special Needs Trust is not considered in determining whether plaintiff was eligible for Medicaid, but is considered in determining the extent of the Medicaid benefits to which an eligible individual is entitled. Relying on State Medicaid Manual Section 3259.7, defendants properly counted the income an institutionalized individual places in a Special Needs Trust when determining how much of the individual’s income he must contribute to the cost of his care.

Happily, there appear to be two positive results from the Wong v. Daines decision which may possibly benefit Medicaid applicants. First, State Medicaid Manual Section 3259.7 makes it clear that income that passes through an individual’s hands and is placed in a special needs trust in the month that the individual receives the income may not be counted for Medicaid eligibility determinations.  The other positive outcome of this case is that to the extent an individual’s income is assignable to the trust and therefore is not directly received by the disabled recipient, then the income can be assigned to a special needs trust and should not be counted by Medicaid.  For disabled persons under age 65 that should be no problem because transferring the income stream to a special needs trust will not cause any transfer penalties.

The Second Circuit opinion may be found here – Wong v. Daines
